- - -
Record 1
C5H11N3O | ωB97M-V/def2-TZVPD

The HOMO-LUMO gap is 9.791 eV. The energy relative to the best compared isomer or geometry (same formula, charge and spin) is 82.4 kcal/mol. The SMILES is NCC1(CN)CN1C=O.

Last column: Mulliken charge in e.
Atoms and positions in Å:
1 N 1.374 1.736 -0.451  -0.75
2 C 0.692 1.099 0.655  -0.88
3 C -0.290 0.056 0.197  1.04
4 C -1.474 0.561 -0.525  -0.74
5 N -2.445 -0.516 -0.781  -0.59
6 C -0.360 -1.164 1.074  -0.93
7 N 0.417 -1.181 -0.194  -0.32
8 C 1.691 -1.487 -0.372  0.18
9 O 2.509 -0.756 -0.904  -0.59
10 H 1.745 0.975 -1.076  0.38
11 H 2.341 2.215 -0.037  0.29
12 H 0.281 1.844 1.367  0.44
13 H 1.294 0.499 1.340  0.35
14 H -1.889 1.367 0.164  0.36
15 H -1.212 1.176 -1.430  0.26
16 H -2.230 -1.101 -1.714  0.25
17 H -3.567 -0.201 -0.658  0.25
18 H -1.160 -1.778 1.352  0.35
19 H 0.272 -0.880 2.019  0.23
20 H 2.010 -2.462 -0.026  0.40

---

Record 2
C16H26NO6 | ωB97M-V/def2-TZVPD

As for the net charge: +1. The HOMO-LUMO gap is 8.867 eV. The SMILES is [NH3+]c1ccc2c(c1)OCCOCCOCCOCCOCCO2.

Last column: Mulliken charge in e.
Atoms and positions in Å:
1 N -0.843 -1.306 2.361  0.10
2 C 0.167 -0.273 2.078  -0.35
3 C 1.502 -0.528 2.302  -0.65
4 C 2.435 0.318 1.729  -0.40
5 C 2.044 1.376 0.922  0.55
6 C 0.675 1.736 0.857  0.64
7 C -0.249 0.882 1.438  -0.62
8 O 0.380 2.855 0.167  -0.46
9 C -0.942 3.357 0.121  -0.75
10 C -1.764 2.791 -1.051  -0.58
11 O -2.175 1.449 -0.899  -0.30
12 C -3.356 1.245 -0.153  -0.46
13 C -3.668 -0.259 -0.133  -0.77
14 O -2.573 -1.079 0.242  -0.52
15 C -1.639 -1.351 -0.807  -0.02
16 C -0.980 -2.718 -0.574  -0.96
17 O 0.209 -2.641 0.200  -0.30
18 C 1.420 -2.872 -0.499  -0.97
19 C 1.865 -1.773 -1.473  -0.41
20 O 2.525 -0.762 -0.748  -0.07
21 C 3.050 0.287 -1.539  -0.59
22 C 3.794 1.278 -0.636  -0.64
23 O 2.907 2.070 0.136  -0.53
24 H -1.668 -1.133 1.728  0.22
25 H -1.122 -1.363 3.345  0.39
26 H -0.430 -2.197 2.037  0.55
27 H 1.821 -1.398 2.853  0.52
28 H 3.483 0.099 1.842  0.39
29 H -1.302 1.057 1.322  0.29
30 H -0.821 4.430 -0.049  0.46
31 H -1.452 3.214 1.079  0.36
32 H -1.136 2.799 -1.945  0.35
33 H -2.633 3.439 -1.218  0.44
34 H -3.254 1.626 0.875  0.32
35 H -4.203 1.770 -0.616  0.52
36 H -4.454 -0.449 0.602  0.38
37 H -4.024 -0.566 -1.121  0.40
38 H -0.880 -0.564 -0.837  0.05
39 H -2.172 -1.362 -1.760  0.56
40 H -1.686 -3.357 -0.030  0.32
41 H -0.770 -3.188 -1.538  0.46
42 H 1.349 -3.821 -1.044  0.45
43 H 2.181 -2.961 0.278  0.38
44 H 2.554 -2.218 -2.207  0.44
45 H 1.005 -1.361 -2.021  0.30
46 H 3.751 -0.115 -2.284  0.50
47 H 2.238 0.809 -2.067  0.27
48 H 4.502 0.731 -0.006  0.31
49 H 4.340 1.993 -1.254  0.45

---

Record 3
C38H52FN10O2 | ωB97M-V/def2-TZVPD

As for the net charge: +1. The HOMO-LUMO gap is 5.338 eV. The energy relative to the best compared isomer or geometry (same formula, charge and spin) is 0.0 kcal/mol.

Last column: Mulliken charge in e.
Atoms and positions in Å:
1 C -2.878 -4.189 2.072  -0.85
2 C -3.018 -2.649 1.610  0.70
3 O -2.978 -1.764 2.511  -0.56
4 N -3.219 -2.366 0.190  -0.30
5 C -4.288 -1.330 0.039  -0.58
6 C -5.169 -1.517 -1.297  0.78
7 C -6.540 -0.674 -1.136  -0.58
8 C -7.868 -1.605 -1.330  -0.48
9 N -8.321 -1.991 0.043  1.14
10 C -8.023 -3.386 0.374  -1.20
11 N -7.238 -3.572 1.463  0.08
12 N -8.503 -4.468 -0.442  0.09
13 C -8.050 -5.812 0.007  -0.95
14 C -6.564 -6.216 -0.411  0.43
15 C -6.124 -5.773 -1.881  -1.01
16 F -5.542 -5.794 0.524  -0.26
17 N -9.661 -1.628 0.307  -0.19
18 C -9.641 -0.192 0.735  -0.84
19 C -10.318 -2.504 1.305  0.67
20 C -10.084 -2.486 2.881  -1.10
21 O -11.145 -3.346 0.860  -0.53
22 H -2.531 -4.202 3.156  0.32
23 H -2.131 -4.682 1.362  0.33
24 H -3.911 -4.694 2.054  0.08
25 H -3.509 -3.239 -0.273  0.34
26 H -3.806 -0.293 0.000  -0.07
27 H -4.973 -1.316 0.971  0.25
28 H -5.443 -2.616 -1.486  -0.80
29 H -4.556 -1.113 -2.170  0.44
30 H -6.577 0.260 -1.796  0.37
31 H -6.557 -0.296 -0.047  0.13
32 H -8.624 -0.949 -1.882  0.38
33 H -7.533 -2.471 -1.991  0.17
34 H -7.381 -4.314 2.155  0.32
35 H -6.487 -2.871 1.611  0.15
- - -
Your job: find "-1.889 1.367" and "0.34" in the notes further above, and give back these two lines and those between.
14 H -1.889 1.367 0.164  0.36
15 H -1.212 1.176 -1.430  0.26
16 H -2.230 -1.101 -1.714  0.25
17 H -3.567 -0.201 -0.658  0.25
18 H -1.160 -1.778 1.352  0.35
19 H 0.272 -0.880 2.019  0.23
20 H 2.010 -2.462 -0.026  0.40

---

Record 2
C16H26NO6 | ωB97M-V/def2-TZVPD

As for the net charge: +1. The HOMO-LUMO gap is 8.867 eV. The SMILES is [NH3+]c1ccc2c(c1)OCCOCCOCCOCCOCCO2.

Last column: Mulliken charge in e.
Atoms and positions in Å:
1 N -0.843 -1.306 2.361  0.10
2 C 0.167 -0.273 2.078  -0.35
3 C 1.502 -0.528 2.302  -0.65
4 C 2.435 0.318 1.729  -0.40
5 C 2.044 1.376 0.922  0.55
6 C 0.675 1.736 0.857  0.64
7 C -0.249 0.882 1.438  -0.62
8 O 0.380 2.855 0.167  -0.46
9 C -0.942 3.357 0.121  -0.75
10 C -1.764 2.791 -1.051  -0.58
11 O -2.175 1.449 -0.899  -0.30
12 C -3.356 1.245 -0.153  -0.46
13 C -3.668 -0.259 -0.133  -0.77
14 O -2.573 -1.079 0.242  -0.52
15 C -1.639 -1.351 -0.807  -0.02
16 C -0.980 -2.718 -0.574  -0.96
17 O 0.209 -2.641 0.200  -0.30
18 C 1.420 -2.872 -0.499  -0.97
19 C 1.865 -1.773 -1.473  -0.41
20 O 2.525 -0.762 -0.748  -0.07
21 C 3.050 0.287 -1.539  -0.59
22 C 3.794 1.278 -0.636  -0.64
23 O 2.907 2.070 0.136  -0.53
24 H -1.668 -1.133 1.728  0.22
25 H -1.122 -1.363 3.345  0.39
26 H -0.430 -2.197 2.037  0.55
27 H 1.821 -1.398 2.853  0.52
28 H 3.483 0.099 1.842  0.39
29 H -1.302 1.057 1.322  0.29
30 H -0.821 4.430 -0.049  0.46
31 H -1.452 3.214 1.079  0.36
32 H -1.136 2.799 -1.945  0.35
33 H -2.633 3.439 -1.218  0.44
34 H -3.254 1.626 0.875  0.32
35 H -4.203 1.770 -0.616  0.52
36 H -4.454 -0.449 0.602  0.38
37 H -4.024 -0.566 -1.121  0.40
38 H -0.880 -0.564 -0.837  0.05
39 H -2.172 -1.362 -1.760  0.56
40 H -1.686 -3.357 -0.030  0.32
41 H -0.770 -3.188 -1.538  0.46
42 H 1.349 -3.821 -1.044  0.45
43 H 2.181 -2.961 0.278  0.38
44 H 2.554 -2.218 -2.207  0.44
45 H 1.005 -1.361 -2.021  0.30
46 H 3.751 -0.115 -2.284  0.50
47 H 2.238 0.809 -2.067  0.27
48 H 4.502 0.731 -0.006  0.31
49 H 4.340 1.993 -1.254  0.45

---

Record 3
C38H52FN10O2 | ωB97M-V/def2-TZVPD

As for the net charge: +1. The HOMO-LUMO gap is 5.338 eV. The energy relative to the best compared isomer or geometry (same formula, charge and spin) is 0.0 kcal/mol.

Last column: Mulliken charge in e.
Atoms and positions in Å:
1 C -2.878 -4.189 2.072  -0.85
2 C -3.018 -2.649 1.610  0.70
3 O -2.978 -1.764 2.511  -0.56
4 N -3.219 -2.366 0.190  -0.30
5 C -4.288 -1.330 0.039  -0.58
6 C -5.169 -1.517 -1.297  0.78
7 C -6.540 -0.674 -1.136  -0.58
8 C -7.868 -1.605 -1.330  -0.48
9 N -8.321 -1.991 0.043  1.14
10 C -8.023 -3.386 0.374  -1.20
11 N -7.238 -3.572 1.463  0.08
12 N -8.503 -4.468 -0.442  0.09
13 C -8.050 -5.812 0.007  -0.95
14 C -6.564 -6.216 -0.411  0.43
15 C -6.124 -5.773 -1.881  -1.01
16 F -5.542 -5.794 0.524  -0.26
17 N -9.661 -1.628 0.307  -0.19
18 C -9.641 -0.192 0.735  -0.84
19 C -10.318 -2.504 1.305  0.67
20 C -10.084 -2.486 2.881  -1.10
21 O -11.145 -3.346 0.860  -0.53
22 H -2.531 -4.202 3.156  0.32
23 H -2.131 -4.682 1.362  0.33
24 H -3.911 -4.694 2.054  0.08
25 H -3.509 -3.239 -0.273  0.34